Listing:
- - -
No. 1
This record from Materials Project describes Li2MnV3O8 after structural relaxation. The functional is GGA+U.

Output
As for the space group: No. 12. The energy above the most stable polymorph in this dataset comes out at 44 meV/atom. As for the total energy: -7.22 eV per atom.

Structure (extended XYZ):
```
28
Lattice="0.008 -3.403 4.879 8.942 5.089 0.005 -3.005 5.133 0.015" Properties=species:S:1:pos:R:3 pbc="T T T"
Mn -0.013 3.420 2.452
Mn 5.960 3.399 2.448
O 6.067 5.019 3.552
O 2.845 6.910 1.357
O -1.450 4.110 1.330
O 4.534 2.537 3.492
O 2.770 5.097 3.565
O 4.501 4.077 1.315
O 1.420 2.732 3.575
O 3.162 1.713 1.330
O 7.384 4.259 1.403
O 1.392 4.268 1.401
O 3.080 -0.105 3.537
O -0.185 -0.005 3.559
O 6.142 6.833 1.345
O 7.416 2.720 3.580
O -0.104 1.813 1.353
O -1.423 2.573 3.504
V -1.492 0.867 2.451
V 0.010 -1.698 2.444
V 4.470 -0.861 4.880
V -1.495 2.569 0.010
V 2.966 3.406 2.445
V 1.463 5.974 2.454
Li 1.523 0.847 0.633
Li 4.421 5.972 4.267
Li 4.492 5.959 0.643
Li 1.453 0.861 4.256
```

No. 2
This record from Materials Project describes Li2MnV3O8 after structural relaxation. The functional is GGA+U.

Output
As for the space group: No. 2. The energy above the most stable polymorph in this dataset comes out at 40 meV/atom. As for the total energy: -7.22 eV per atom.

Structure (extended XYZ):
```
28
Lattice="0.000 -3.439 4.872 8.965 5.132 -0.020 -3.004 5.160 0.001" Properties=species:S:1:pos:R:3 pbc="T T T"
O -0.111 1.801 1.356
O 6.161 6.879 1.298
O -1.465 2.556 3.492
O 7.425 4.296 1.361
O 4.536 4.118 1.237
O 2.865 7.022 1.245
O 1.427 4.254 1.427
O 2.782 5.041 3.651
O 3.179 1.811 1.202
O 7.399 2.752 3.549
O 6.072 5.052 3.497
O 3.096 -0.170 3.608
O -0.201 -0.027 3.556
O -1.439 4.100 1.305
O 1.424 2.734 3.616
O 4.533 2.599 3.426
Li 1.520 0.851 0.620
Li 1.450 0.833 4.264
Li 4.510 6.020 0.589
Li 4.441 6.001 4.233
V 1.478 6.006 2.427
V 7.462 5.991 2.417
V 2.981 3.426 2.426
V 4.482 2.566 -0.010
V 7.462 4.273 4.853
V 8.964 3.412 2.416
Mn 5.978 3.450 2.384
Mn -0.017 3.403 2.469
```

----------

8
Lattice="5.4877 0.0000 0.0000 -2.7438 4.7525 0.0000 0.0000 0.0000 4.3511" Properties=species:S:1:pos:R:3 comment="Tc3Os (meta-GGA r2SCAN, relaxed)" space_group="P6_3/mmc, No. 194" relative_energy_mev_per_atom=0 m_tot_mub_per_fu=0.000 pbc="T T T"
Tc 0.0000 1.5747 1.0878
Tc -1.3802 3.9652 1.0878
Tc 1.3637 0.7873 3.2634
Tc 1.3802 3.9652 1.0878
Tc 4.1240 0.7873 3.2634
Tc 2.7438 3.1778 3.2634
Os 0.0000 3.1683 3.2634
Os 2.7439 1.5842 1.0878
- - -
Brief:
Could you echo the material further above without additions?
Here it is:
No. 1
This record from Materials Project describes Li2MnV3O8 after structural relaxation. The functional is GGA+U.

Output
As for the space group: No. 12. The energy above the most stable polymorph in this dataset comes out at 44 meV/atom. As for the total energy: -7.22 eV per atom.

Structure (extended XYZ):
```
28
Lattice="0.008 -3.403 4.879 8.942 5.089 0.005 -3.005 5.133 0.015" Properties=species:S:1:pos:R:3 pbc="T T T"
Mn -0.013 3.420 2.452
Mn 5.960 3.399 2.448
O 6.067 5.019 3.552
O 2.845 6.910 1.357
O -1.450 4.110 1.330
O 4.534 2.537 3.492
O 2.770 5.097 3.565
O 4.501 4.077 1.315
O 1.420 2.732 3.575
O 3.162 1.713 1.330
O 7.384 4.259 1.403
O 1.392 4.268 1.401
O 3.080 -0.105 3.537
O -0.185 -0.005 3.559
O 6.142 6.833 1.345
O 7.416 2.720 3.580
O -0.104 1.813 1.353
O -1.423 2.573 3.504
V -1.492 0.867 2.451
V 0.010 -1.698 2.444
V 4.470 -0.861 4.880
V -1.495 2.569 0.010
V 2.966 3.406 2.445
V 1.463 5.974 2.454
Li 1.523 0.847 0.633
Li 4.421 5.972 4.267
Li 4.492 5.959 0.643
Li 1.453 0.861 4.256
```

No. 2
This record from Materials Project describes Li2MnV3O8 after structural relaxation. The functional is GGA+U.

Output
As for the space group: No. 2. The energy above the most stable polymorph in this dataset comes out at 40 meV/atom. As for the total energy: -7.22 eV per atom.

Structure (extended XYZ):
```
28
Lattice="0.000 -3.439 4.872 8.965 5.132 -0.020 -3.004 5.160 0.001" Properties=species:S:1:pos:R:3 pbc="T T T"
O -0.111 1.801 1.356
O 6.161 6.879 1.298
O -1.465 2.556 3.492
O 7.425 4.296 1.361
O 4.536 4.118 1.237
O 2.865 7.022 1.245
O 1.427 4.254 1.427
O 2.782 5.041 3.651
O 3.179 1.811 1.202
O 7.399 2.752 3.549
O 6.072 5.052 3.497
O 3.096 -0.170 3.608
O -0.201 -0.027 3.556
O -1.439 4.100 1.305
O 1.424 2.734 3.616
O 4.533 2.599 3.426
Li 1.520 0.851 0.620
Li 1.450 0.833 4.264
Li 4.510 6.020 0.589
Li 4.441 6.001 4.233
V 1.478 6.006 2.427
V 7.462 5.991 2.417
V 2.981 3.426 2.426
V 4.482 2.566 -0.010
V 7.462 4.273 4.853
V 8.964 3.412 2.416
Mn 5.978 3.450 2.384
Mn -0.017 3.403 2.469
```

----------

8
Lattice="5.4877 0.0000 0.0000 -2.7438 4.7525 0.0000 0.0000 0.0000 4.3511" Properties=species:S:1:pos:R:3 comment="Tc3Os (meta-GGA r2SCAN, relaxed)" space_group="P6_3/mmc, No. 194" relative_energy_mev_per_atom=0 m_tot_mub_per_fu=0.000 pbc="T T T"
Tc 0.0000 1.5747 1.0878
Tc -1.3802 3.9652 1.0878
Tc 1.3637 0.7873 3.2634
Tc 1.3802 3.9652 1.0878
Tc 4.1240 0.7873 3.2634
Tc 2.7438 3.1778 3.2634
Os 0.0000 3.1683 3.2634
Os 2.7439 1.5842 1.0878